What is needed: echo only the lines further below with the word "per" in them.
-- begin --
1.
An optimized crystal structure of Si3Ir, computed with GGA-PBEsol.

Output
V	57.2	Å³/f.u.
ΔE_f (raw)	-0.011	eV per atom
SG	P-6m2, No. 187
raw total energy	-6.777	eV per atom

abc: 3.0015 3.0015 7.3272
angles: 90.00 90.00 120.00
Fractional positions:
Si1 0.0000 0.0000 0.0000
Si2 0.3333 0.6667 0.2585
Si3 0.3333 0.6667 0.7415
Ir1 0.0000 0.0000 0.5000

***

2.
An optimized crystal structure of Si3Ir, computed with GGA-PBEsol.

Output
V	56.5	Å³/f.u.
ΔE_f (raw)	-0.008	eV per atom
SG	Pmm2, No. 25
raw total energy	-6.774	eV per atom

abc: 2.9105 4.8242 4.0272
angles: 90.00 90.00 90.00
Fractional positions:
Si1 0.0000 0.0000 0.0000
Si2 0.0000 0.5000 0.2130
Si3 0.5000 0.5000 0.7013
Ir1 0.5000 0.0000 0.5201

***

3.
An optimized crystal structure of Si2Ir3, computed with GGA-PBEsol.

Output
V	70.2	Å³/f.u.
ΔE_f (raw)	-0.650	eV per atom
SG	P-3m1, No. 164
raw total energy	-8.843	eV per atom

abc: 3.9785 3.9785 5.1175
angles: 90.00 90.00 120.00
Fractional positions:
Si1 0.3333 0.6667 0.2978
Si2 0.6667 0.3333 0.7022
Ir1 0.0000 0.0000 0.5000
Ir2 0.3333 0.6667 0.8269
Ir3 0.6667 0.3333 0.1731

***

4.
An optimized crystal structure of Si2Ir3, computed with GGA-PBEsol.

Output
V	74.5	Å³/f.u.
ΔE_f (raw)	-0.204	eV per atom
SG	P-6m2, No. 187
raw total energy	-8.397	eV per atom

abc: 4.0056 4.0056 5.3610
angles: 90.00 90.00 120.00
Fractional positions:
Si1 0.0000 0.0000 0.0000
Si2 0.3333 0.6667 0.5000
Ir1 0.0000 0.0000 0.5000
Ir2 0.6667 0.3333 0.2355
Ir3 0.6667 0.3333 0.7645

***

DOS(E_F) values (in states/eV/f.u.) by entry order: 1.30, 2.16, 0.95, 3.20.

----------

w:
A geometry-optimized Li3BiF structure, computed with PBE.

Lattice parameters (Å, degrees): 4.2771 4.2771 4.2771 90.00 90.00 90.00
Closest atoms and distances in Å follow each position.
Fractional coordinates of all 5 atoms:
Li (0.0000, 0.0000, 0.5000)  2 F 2.14
Li (0.0000, 0.5000, 0.0000)  2 F 2.14
Li (0.5000, 0.0000, 0.0000)  2 F 2.14
Bi (0.5000, 0.5000, 0.5000)  12 Li 3.02
F (0.0000, 0.0000, 0.0000)  6 Li 2.14

N(E_F)	2.0	states/eV/f.u.

x:
A geometry-optimized Li3BiF structure, computed with PBE.

Lattice parameters (Å, degrees): 5.3500 5.3500 5.3500 90.00 90.00 90.00
Closest atoms and distances in Å follow each position.
Fractional coordinates of all 5 atoms:
Li (0.0000, 0.0000, 0.5000)  2 Bi 2.68
Li (0.0000, 0.5000, 0.0000)  2 Bi 2.68
Li (0.5000, 0.0000, 0.0000)  2 Bi 2.68
Bi (0.0000, 0.0000, 0.0000)  6 Li 2.68
F (0.5000, 0.5000, 0.5000)  12 Li 3.78

N(E_F)	8.2	states/eV/f.u.

y:
A geometry-optimized Li3BiF structure, computed with PBE.

Lattice parameters (Å, degrees): 6.7001 6.7001 6.4310 107.21 107.21 41.73
Closest atoms and distances in Å follow each position.
Fractional coordinates of all 10 atoms:
Li (0.0966, 0.0966, 0.1749)  1 F 1.84
Li (0.1564, 0.1564, 0.7440)  1 F 1.86
Li (0.3384, 0.3384, 0.5489)  1 F 1.93
Li (0.6616, 0.6616, 0.4511)  1 F 1.93
Li (0.8436, 0.8436, 0.2560)  1 F 1.86
Li (0.9034, 0.9034, 0.8251)  1 F 1.84
Bi (0.3880, 0.3880, 0.0674)  5 Li 2.81-2.99
Bi (0.6120, 0.6120, 0.9326)  5 Li 2.81-2.99
F (0.1767, 0.1767, 0.4697)  3 Li 1.84-1.93
F (0.8233, 0.8233, 0.5303)  3 Li 1.84-1.93

N(E_F)	0.1	states/eV/f.u.

Stability check: which of them is most stable? y.

w:
A geometry-optimized LiBiF6 structure, computed with PBE.

Lattice parameters (Å, degrees): 5.6685 5.6685 5.6685 56.21 56.21 56.21
Closest atoms and distances in Å follow each position.
Fractional coordinates of all 8 atoms:
Li (0.0000, 0.0000, 0.0000)  6 F 2.06
Bi (0.5000, 0.5000, 0.5000)  6 F 2.05
F (0.1274, 0.7491, 0.3746)  1 Bi 2.05, 1 Li 2.06
F (0.2509, 0.6254, 0.8726)  1 Bi 2.05, 1 Li 2.06
F (0.3746, 0.1274, 0.7491)  1 Bi 2.05, 1 Li 2.06
F (0.6254, 0.8726, 0.2509)  1 Bi 2.05, 1 Li 2.06
F (0.7491, 0.3746, 0.1274)  1 Bi 2.05, 1 Li 2.06
F (0.8726, 0.2509, 0.6254)  1 Bi 2.05, 1 Li 2.06

N(E_F)	0.0	states/eV/f.u.

x:
A geometry-optimized LiBiF6 structure, computed with PBE.

Lattice parameters (Å, degrees): 5.1991 5.1991 9.7880 90.00 90.00 120.00
-- stop --
ΔE_f (raw)	-0.011	eV per atom
raw total energy	-6.777	eV per atom
ΔE_f (raw)	-0.008	eV per atom
raw total energy	-6.774	eV per atom
ΔE_f (raw)	-0.650	eV per atom
raw total energy	-8.843	eV per atom
ΔE_f (raw)	-0.204	eV per atom
raw total energy	-8.397	eV per atom